# Job
Please repeat the calculation results further below from the line with "(0.625, 0.375," to the end without altering anything.

# Given
Computed powder diffractogram
Compound: Ce2PbS4
Radiation: Cu Kα (λ = 1.5418 Å)
Structure: a PBE-relaxed structure
No peak broadening, texture or thermal motion is included.

Crystal structure
```
data_Ce2PbS4
_chemical_formula_sum 'Ce8 Pb4 S16'
_space_group_name_H-M_alt 'I -4 2 d'
_space_group_IT_number 122
_space_group_name_Hall 'I -4 2bw'
_cell_length_a 8.7112
_cell_length_b 8.7112
_cell_length_c 8.7317
_cell_angle_alpha 90.00
_cell_angle_beta 90.00
_cell_angle_gamma 90.00
loop_
_atom_site_label
_atom_site_fract_x
_atom_site_fract_y
_atom_site_fract_z
Ce1 0.1323 0.7500 0.1250
Pb1 0.0000 0.0000 0.5000
S1 0.0763 0.6712 0.4407
```

Main lines, low angle first (10 to 90 degrees two-theta):
- d = 3.559 Å, rel. 100
- d = 2.757 Å, rel. 85
- d = 2.330 Å, rel. 55
- d = 1.950 Å, rel. 38
- d = 1.859 Å, rel. 25
- d = 1.711 Å, rel. 16
- d = 1.709 Å, rel. 14
- d = 1.416 Å, rel. 13
- d = 1.414 Å, rel. 22
- d = 1.186 Å, rel. 14

=====

[1]
Calculated powder XRD pattern
Compound: CaCd9Pb2
Radiation: Cu Kα (λ = 1.5418 Å)
Structure: a structure optimized by DFT (GGA-PBE)

Structural model:
a b c (Å): 10.577 10.577 10.577
angles (deg): 32.54 32.54 32.54
Sites, in units of the cell vectors:
Ca (0.000, 0.000, 0.000)
Cd (0.080, 0.584, 0.584)
Cd (0.334, 0.334, 0.334)
Cd (0.416, 0.416, 0.920)
Cd (0.416, 0.920, 0.416)
Cd (0.500, 0.500, 0.500)
Cd (0.584, 0.080, 0.584)
Cd (0.584, 0.584, 0.080)
Cd (0.666, 0.666, 0.666)
Cd (0.920, 0.416, 0.416)
Pb (0.138, 0.138, 0.138)
Pb (0.862, 0.862, 0.862)

Largest 6 diffraction maxima, low angle first, 2θ from 5° to 70°:
| 2theta | I (rel.) |
| --- | --- |
| 30.16 | 367 |
| 35.10 | 349 |
| 35.20 | 1000 |
| 37.02 | 311 |
| 37.31 | 390 |
| 38.14 | 519 |



[2]
Calculated powder XRD pattern
Compound: CaCd9Pd2
Radiation: Cu Kα (λ = 1.5418 Å)
Structure: a structure optimized by DFT (GGA-PBE)

Structural model:
a b c (Å): 9.153 9.153 9.153
angles (deg): 99.97 99.97 130.81
Sites, in units of the cell vectors:
Ca (0.375, 0.625, 0.750)
Ca (0.625, 0.375, 0.250)
Cd (0.125, 0.875, 0.250)
Cd (0.131, 0.560, 0.329)
Cd (0.131, 0.802, 0.571)
Cd (0.198, 0.269, 0.329)
Cd (0.198, 0.869, 0.929)
Cd (0.269, 0.198, 0.829)
Cd (0.269, 0.440, 0.071)
Cd (0.440, 0.269, 0.571)
Cd (0.440, 0.869, 0.171)
Cd (0.560, 0.131, 0.829)
Cd (0.560, 0.731, 0.429)
Cd (0.731, 0.560, 0.929)
Cd (0.731, 0.802, 0.171)
Cd (0.802, 0.131, 0.071)
Cd (0.802, 0.731, 0.671)
Cd (0.869, 0.198, 0.429)
Cd (0.869, 0.440, 0.671)
Cd (0.875, 0.125, 0.750)
Pd (0.000, 0.000, 0.000)
Pd (0.000, 0.000, 0.500)
Pd (0.000, 0.500, 0.000)
Pd (0.500, 0.000, 0.500)

Largest 6 diffraction maxima, low angle first, 2θ from 5° to 70°:
| 2theta | I (rel.) |
| --- | --- |
| 13.85 | 274 |
| 33.67 | 556 |
| 34.07 | 409 |
| 39.39 | 333 |
| 40.09 | 1000 |
| 41.71 | 327 |



[3]
Calculated powder XRD pattern
Compound: Ca4CdPd5
Radiation: Cu Kα (λ = 1.5418 Å)
Structure: a structure optimized by DFT (GGA-PBE)

Structural model:
a b c (Å): 3.506 3.506 17.138
angles (deg): 90.00 90.00 90.00
Sites, in units of the cell vectors:
Ca (0.000, 0.000, 0.103)
Ca (0.000, 0.000, 0.309)
Ca (0.000, 0.000, 0.691)
Ca (0.000, 0.000, 0.897)
Cd (0.000, 0.000, 0.500)
Pd (0.500, 0.500, 0.000)
Pd (0.500, 0.500, 0.207)
Pd (0.500, 0.500, 0.415)
Pd (0.500, 0.500, 0.585)
Pd (0.500, 0.500, 0.793)

Largest 6 diffraction maxima, low angle first, 2θ from 5° to 70°:
| 2theta | I (rel.) |
| --- | --- |
| 5.16 | 294 |
| 25.40 | 135 |
| 36.23 | 550 |
| 36.67 | 1000 |
| 52.18 | 186 |
| 65.46 | 338 |



[4]
Calculated powder XRD pattern
Compound: Ca11Cd9Pd4
Radiation: Cu Kα (λ = 1.5418 Å)
Structure: a structure optimized by DFT (GGA-PBE)

Structural model:
a b c (Å): 13.231 13.231 3.887
angles (deg): 90.00 90.00 112.54
Sites, in units of the cell vectors:
Ca (0.000, 0.000, 0.000)
Ca (0.075, 0.413, 0.000)
Ca (0.165, 0.835, 0.000)
Ca (0.302, 0.302, 0.000)
Ca (0.370, 0.630, 0.000)
Ca (0.413, 0.075, 0.000)
Ca (0.587, 0.925, 0.000)
Ca (0.630, 0.370, 0.000)
Ca (0.698, 0.698, 0.000)
Ca (0.835, 0.165, 0.000)
Ca (0.925, 0.587, 0.000)

# Here it is
Ca (0.625, 0.375, 0.250)
Cd (0.125, 0.875, 0.250)
Cd (0.131, 0.560, 0.329)
Cd (0.131, 0.802, 0.571)
Cd (0.198, 0.269, 0.329)
Cd (0.198, 0.869, 0.929)
Cd (0.269, 0.198, 0.829)
Cd (0.269, 0.440, 0.071)
Cd (0.440, 0.269, 0.571)
Cd (0.440, 0.869, 0.171)
Cd (0.560, 0.131, 0.829)
Cd (0.560, 0.731, 0.429)
Cd (0.731, 0.560, 0.929)
Cd (0.731, 0.802, 0.171)
Cd (0.802, 0.131, 0.071)
Cd (0.802, 0.731, 0.671)
Cd (0.869, 0.198, 0.429)
Cd (0.869, 0.440, 0.671)
Cd (0.875, 0.125, 0.750)
Pd (0.000, 0.000, 0.000)
Pd (0.000, 0.000, 0.500)
Pd (0.000, 0.500, 0.000)
Pd (0.500, 0.000, 0.500)

Largest 6 diffraction maxima, low angle first, 2θ from 5° to 70°:
| 2theta | I (rel.) |
| --- | --- |
| 13.85 | 274 |
| 33.67 | 556 |
| 34.07 | 409 |
| 39.39 | 333 |
| 40.09 | 1000 |
| 41.71 | 327 |



[3]
Calculated powder XRD pattern
Compound: Ca4CdPd5
Radiation: Cu Kα (λ = 1.5418 Å)
Structure: a structure optimized by DFT (GGA-PBE)

Structural model:
a b c (Å): 3.506 3.506 17.138
angles (deg): 90.00 90.00 90.00
Sites, in units of the cell vectors:
Ca (0.000, 0.000, 0.103)
Ca (0.000, 0.000, 0.309)
Ca (0.000, 0.000, 0.691)
Ca (0.000, 0.000, 0.897)
Cd (0.000, 0.000, 0.500)
Pd (0.500, 0.500, 0.000)
Pd (0.500, 0.500, 0.207)
Pd (0.500, 0.500, 0.415)
Pd (0.500, 0.500, 0.585)
Pd (0.500, 0.500, 0.793)

Largest 6 diffraction maxima, low angle first, 2θ from 5° to 70°:
| 2theta | I (rel.) |
| --- | --- |
| 5.16 | 294 |
| 25.40 | 135 |
| 36.23 | 550 |
| 36.67 | 1000 |
| 52.18 | 186 |
| 65.46 | 338 |



[4]
Calculated powder XRD pattern
Compound: Ca11Cd9Pd4
Radiation: Cu Kα (λ = 1.5418 Å)
Structure: a structure optimized by DFT (GGA-PBE)

Structural model:
a b c (Å): 13.231 13.231 3.887
angles (deg): 90.00 90.00 112.54
Sites, in units of the cell vectors:
Ca (0.000, 0.000, 0.000)
Ca (0.075, 0.413, 0.000)
Ca (0.165, 0.835, 0.000)
Ca (0.302, 0.302, 0.000)
Ca (0.370, 0.630, 0.000)
Ca (0.413, 0.075, 0.000)
Ca (0.587, 0.925, 0.000)
Ca (0.630, 0.370, 0.000)
Ca (0.698, 0.698, 0.000)
Ca (0.835, 0.165, 0.000)
Ca (0.925, 0.587, 0.000)